Entries >
<<<
a.
# C5H9N4

An isolated ion of composition C5H9N4 and charge +1 (ωB97M-V/def2-TZVPD, the OMol25 dataset).

```
! RIJCOSX wB97M-V def2-TZVPD def2/J DEFGRID3
* xyz 1 1
C -0.061 -0.059 -1.870
C 0.370 1.200 -1.682
C -0.221 -0.958 -0.791
C -0.057 -0.444 0.540
C 0.383 0.928 0.670
N 0.631 1.664 -0.459
N -0.573 -2.248 -0.933
N -0.311 -1.160 1.721
N 0.552 1.555 1.831
H -0.285 -0.354 -2.890
H 0.392 1.872 -2.464
H 0.722 2.617 -0.370
H -0.986 -2.639 -1.758
H -1.036 -2.569 -0.109
H 0.124 -0.857 2.566
H -0.284 -2.186 1.554
H 0.242 1.096 2.776
H 0.397 2.541 1.664
*
```

Values from the calculation:
frontier orbital gap: 8.8 eV
highest occupied orbital energy: -12.1 eV
SMILES: Nc1cc[nH]c(=[NH2+])c1N


b.
# C5H9N4

C5H9N4 as an isolated structure (ωB97M-V/def2-TZVPD, the OMol25 dataset).

```
! RIJCOSX wB97M-V def2-TZVPD def2/J DEFGRID3
* xyz 1 1
C 1.908 1.509 -0.606
C 0.404 0.278 -0.033
C 1.409 -0.612 -0.126
C -2.237 0.304 -0.029
C 1.646 -1.949 0.409
N 0.598 1.511 -0.303
N 2.411 0.191 -0.514
N -3.223 -0.515 -0.170
N -2.170 1.479 0.499
H 2.290 2.396 -0.889
H 1.189 -2.043 1.313
H 1.177 -2.716 -0.109
H 2.635 -2.289 0.636
H 3.376 0.107 -0.511
H -3.173 -1.368 -0.657
H -4.139 -0.241 0.030
H -1.104 1.991 0.388
H -2.998 1.969 0.674
*
```

Values from the calculation:
frontier orbital gap (alpha / beta): 7.6 / 8.1 eV
highest occupied orbital energy (alpha / beta): -12.8 / -12.7 eV


The most stable arrangement is a, and the next structure is 520.0 kJ/mol less stable.
>>>

Job >
Please search the block further above for the word "nH" and echo each line that has it.

Done >
SMILES: Nc1cc[nH]c(=[NH2+])c1N